To do:
Could you return the lines further down from the first line to the one with "-4.929" with every line break kept?
Source:
********
# 1
This record from the Materials Project database describes a geometry-optimized MnH3C5NO6 structure. The functional is GGA+U.

```
32
Lattice="-4.364 0.326 -6.681 3.104 -2.979 -6.728 -3.333 -7.491 -2.902" Properties=species:S:1:pos:R:3 pbc="T T T"
Mn -0.734 -6.563 -11.501
Mn -2.820 -1.157 -10.026
H -3.696 -7.272 -11.538
H -0.508 -8.082 -8.908
H -3.223 -6.338 -6.190
H -4.068 -2.024 -7.424
H -1.353 -3.826 -10.092
H -0.923 -2.873 -4.743
C -3.266 -7.693 -12.464
C -1.519 -7.647 -8.889
C -2.618 -6.364 -5.270
C -3.066 -2.480 -7.418
C -1.964 -3.786 -11.011
C -1.339 -2.447 -3.817
C -4.411 -5.010 -8.987
C 0.829 -2.845 -7.559
C -0.162 -5.084 -7.066
C -5.395 -7.251 -8.494
N -4.906 -6.130 -8.751
N 0.336 -3.966 -7.323
O -2.005 -7.520 -12.684
O -1.897 -6.945 -9.880
O -2.647 -5.405 -4.462
O -2.303 -2.283 -8.416
O -2.686 -2.736 -11.218
O -0.601 -1.827 -3.013
O -2.591 -2.610 -3.589
O -2.698 -3.182 -6.401
O -1.947 -4.738 -11.813
O -2.276 -7.852 -7.866
O -1.894 -7.401 -5.055
O -3.990 -8.317 -13.262
```

Values from the calculation:
Energy with MP2020 corrections ... -7.1209 eV per atom
Formation energy from the elements ... -652 meV per atom

# 2
This record from the Materials Project database describes a geometry-optimized MnH3C5NO6 structure. The functional is GGA+U.

```
32
Lattice="0.194 -3.059 -7.436 -1.515 7.794 0.974 6.846 2.021 -5.153" Properties=species:S:1:pos:R:3 pbc="T T T"
Mn 2.863 1.838 -9.520
Mn -1.317 4.729 -6.464
H 0.793 4.007 -4.410
H 1.550 -0.216 -7.749
H 0.418 6.828 -1.164
H 3.973 6.998 -3.862
H 5.108 -0.079 -10.422
H 4.735 2.732 -7.205
C 0.598 5.083 -4.285
C 1.372 2.410 -1.327
C 0.795 3.120 -7.730
C 4.169 4.344 -10.273
C 4.728 3.611 -3.868
C 4.931 1.655 -7.333
C 2.683 1.030 -4.714
C 5.347 5.875 -7.025
C 2.914 5.406 -6.710
C 0.230 0.595 -4.539
N 1.451 0.832 -4.642
N 4.129 5.648 -6.869
O 1.219 5.737 -3.398
O 1.882 3.116 -2.280
O 1.673 2.215 -7.801
O 4.662 5.475 -10.040
O 5.419 3.409 -4.929
O 5.790 1.094 -6.559
O 4.318 1.002 -8.220
O 3.655 3.624 -9.331
O 3.842 4.513 -3.812
O 0.910 1.260 -1.537
O 0.098 3.310 -6.672
O -0.264 5.645 -5.052
```

Values from the calculation:
Energy with MP2020 corrections ... -7.1221 eV per atom
Formation energy from the elements ... -653 meV per atom

# 3
This record from the Materials Project database describes a geometry-optimized MnH8C3N2O6 structure. The functional is GGA+U.

```
80
Lattice="-2.149 -5.368 -7.000 -5.786 -3.320 4.323 -7.673 8.226 -3.953" Properties=species:S:1:pos:R:3 pbc="T T T"
Mn -4.768 4.846 -2.649
Mn -8.713 -7.588 -2.885
Mn -4.755 -3.249 -1.540
Mn -8.726 0.507 -3.994
H -8.275 -0.488 -6.874
H -5.177 -2.285 1.354
H -6.983 -5.389 -1.599
H -6.470 2.616 -3.920
H -11.110 -1.277 -4.670
H -3.049 -0.738 -1.213
H -4.297 -3.522 -4.584
H -9.862 1.506 -1.300
H -7.070 6.627 -3.379
H -10.211 -5.296 -4.112
H -7.031 -1.403 -2.186
H -10.250 2.735 -5.306
H -12.503 0.639 -3.459
H -3.994 -0.147 -3.629
H -6.513 -3.660 -6.050
H -9.985 4.151 -1.038
H -7.745 2.995 -6.803
H -8.330 -2.956 -0.067
H -7.512 -4.554 -4.981
H -8.563 4.593 -1.889
H -8.426 3.951 -8.038
H -9.590 -1.832 0.168
H -7.935 -2.950 -5.371
H -10.081 5.069 -2.499
H -13.233 2.501 -2.619
H -5.164 0.027 -5.447
H -5.839 1.708 -0.640
H -12.558 0.820 -7.426
H -8.733 5.109 -6.187
H -9.775 -2.462 -1.937
H -7.058 1.165 0.335
H -11.451 1.482 -8.459
C -7.943 0.563 -6.975
C -6.211 -2.584 1.095
C -6.945 -5.073 -2.659
C -7.209 3.052 -3.221
C -10.294 -1.972 -4.945
C -2.690 -1.304 -0.332
C -3.278 -3.709 -4.196
C -9.706 0.433 -1.082
C -12.063 3.813 0.361
C -5.259 -2.438 -7.873
C -6.256 -0.942 -2.826
C -11.066 2.317 -4.687
N -13.445 0.581 -2.998
N -3.585 0.482 -4.364
N -7.501 -3.833 -5.741
N -9.529 4.896 -1.622
N -7.729 5.005 -6.382
N -9.939 -3.259 -1.309
N -6.066 1.031 0.100
N -11.602 0.716 -7.791
O -7.428 0.926 -8.073
O -7.090 -2.557 2.005
O -6.188 -4.107 -2.972
O -8.329 2.476 -3.096
O -8.100 1.339 -5.972
O -6.445 -2.941 -0.110
O -7.668 -5.710 -3.499
O -6.877 4.108 -2.583
O -10.602 -3.138 -5.339
O -1.769 -0.794 0.377
O -3.081 -3.614 -2.946
********
Worked solution:
# 1
This record from the Materials Project database describes a geometry-optimized MnH3C5NO6 structure. The functional is GGA+U.

```
32
Lattice="-4.364 0.326 -6.681 3.104 -2.979 -6.728 -3.333 -7.491 -2.902" Properties=species:S:1:pos:R:3 pbc="T T T"
Mn -0.734 -6.563 -11.501
Mn -2.820 -1.157 -10.026
H -3.696 -7.272 -11.538
H -0.508 -8.082 -8.908
H -3.223 -6.338 -6.190
H -4.068 -2.024 -7.424
H -1.353 -3.826 -10.092
H -0.923 -2.873 -4.743
C -3.266 -7.693 -12.464
C -1.519 -7.647 -8.889
C -2.618 -6.364 -5.270
C -3.066 -2.480 -7.418
C -1.964 -3.786 -11.011
C -1.339 -2.447 -3.817
C -4.411 -5.010 -8.987
C 0.829 -2.845 -7.559
C -0.162 -5.084 -7.066
C -5.395 -7.251 -8.494
N -4.906 -6.130 -8.751
N 0.336 -3.966 -7.323
O -2.005 -7.520 -12.684
O -1.897 -6.945 -9.880
O -2.647 -5.405 -4.462
O -2.303 -2.283 -8.416
O -2.686 -2.736 -11.218
O -0.601 -1.827 -3.013
O -2.591 -2.610 -3.589
O -2.698 -3.182 -6.401
O -1.947 -4.738 -11.813
O -2.276 -7.852 -7.866
O -1.894 -7.401 -5.055
O -3.990 -8.317 -13.262
```

Values from the calculation:
Energy with MP2020 corrections ... -7.1209 eV per atom
Formation energy from the elements ... -652 meV per atom

# 2
This record from the Materials Project database describes a geometry-optimized MnH3C5NO6 structure. The functional is GGA+U.

```
32
Lattice="0.194 -3.059 -7.436 -1.515 7.794 0.974 6.846 2.021 -5.153" Properties=species:S:1:pos:R:3 pbc="T T T"
Mn 2.863 1.838 -9.520
Mn -1.317 4.729 -6.464
H 0.793 4.007 -4.410
H 1.550 -0.216 -7.749
H 0.418 6.828 -1.164
H 3.973 6.998 -3.862
H 5.108 -0.079 -10.422
H 4.735 2.732 -7.205
C 0.598 5.083 -4.285
C 1.372 2.410 -1.327
C 0.795 3.120 -7.730
C 4.169 4.344 -10.273
C 4.728 3.611 -3.868
C 4.931 1.655 -7.333
C 2.683 1.030 -4.714
C 5.347 5.875 -7.025
C 2.914 5.406 -6.710
C 0.230 0.595 -4.539
N 1.451 0.832 -4.642
N 4.129 5.648 -6.869
O 1.219 5.737 -3.398
O 1.882 3.116 -2.280
O 1.673 2.215 -7.801
O 4.662 5.475 -10.040
O 5.419 3.409 -4.929